UART Configuration on Ezurio DVK

I'm working with a DVK that has an nrF52840 with a Sierra Wireless HL7800 modem.  The modem is connected physically to UART1 while the UART0 is used for the following as shown in the dts:

zephyr,console = &uart0;

zephyr,shell-uart = &uart0;

zephyr,uart-mcumgr = &uart0;
zephyr,bt-mon-uart = &uart0;
I need to repurpose UART0 to send and receive hex commands on an HMI.  It was suggested by Ezurio tech support that I push the shell and console to the nrf USB to free up UART0. Is it just changing these lines in the dts file?  How do I do that?
  • First I'd like to point out that you are not supposed to change the .dts or any of the other board files directly (although it probably works). The intended way is to create an .overlay file in your application folder. Then anything that is located in that will overwrite the .dts file for your application.

    So if you are using the nRF52840, create a file called nrf52840dk_nrf52840.overlay in the same folder as your CMakeLists.txt and in there you can add those snippets. (I usually copy from the .dts file, so that I get the right indentations and brackets, and then remove anything I don't want to change, and then I change what I want to change).

    As for the question, yes. You are onto something. If you need the console, it is possible to move it over to the USB, and I believe something like that can work. Did you test it?

    If you do not need it, you can just disable the logging, which will free up the UART for your own use. You can also move the logging overt to RTT, so that the UART is free to use for your application.

    If you have a look at the sample found in ncs\nrf\samples\bluetooth\peripheral_uart, then you will see that this one uses UART0 for the application, and then it uses RTT for logging. You can see this from the prj.conf:

    # Config logger

    It actually doesn't disable the console, and the reason for this is that it on purpose uses printk() to print some messages over UART, but it also uses uart_tx() to send UART messages, and uart_cb() for reading. 

Al2S3: computed PXRD pattern (Cu Kα), based on a DFT-relaxed cell (GGA-PBE, the Materials Project).
Intensities are scaled so that the largest is 100.

```
data_Al2S3
_chemical_formula_sum 'Al12 S18'
_space_group_name_H-M_alt 'P 1'
_space_group_IT_number 1
_cell_length_a 6.4758
_cell_length_b 7.3492
_cell_length_c 20.9402
_cell_angle_alpha 98.51
_cell_angle_beta 92.39
_cell_angle_gamma 112.26
loop_
_space_group_symop_operation_xyz
'x,y,z'
loop_
_atom_site_label
_atom_site_type_symbol
_atom_site_fract_x
_atom_site_fract_y
_atom_site_fract_z
Al1 Al 0.0000 0.0000 0.0000
Al2 Al 0.0015 0.5888 0.7253
Al3 Al 0.0625 0.2700 0.3404
Al4 Al 0.1603 0.5560 0.4097
Al5 Al 0.1965 0.2674 0.4979
Al6 Al 0.4398 0.7957 0.1687
Al7 Al 0.4687 0.0234 0.3064
Al8 Al 0.4799 0.3688 0.1743
Al9 Al 0.7471 0.6965 0.1025
Al10 Al 0.8043 0.3740 0.6069
Al11 Al 0.9064 0.0939 0.6601
Al12 Al 0.9727 0.2486 0.0895
S1 S 0.0428 0.3057 0.9796
S2 S 0.0446 0.0187 0.4358
S3 S 0.0722 0.9732 0.1025
S4 S 0.0910 0.6526 0.6190
S5 S 0.1929 0.4615 0.1460
S6 S 0.2182 0.5595 0.7972
S7 S 0.2403 0.7654 0.2650
S8 S 0.2589 0.1312 0.5957
S9 S 0.2976 0.9049 0.4183
S10 S 0.4282 0.3181 0.2849
S11 S 0.4581 0.3852 0.6336
S12 S 0.4705 0.5413 0.4464
S13 S 0.5250 0.8026 0.7960
S14 S 0.5899 0.1401 0.1256
S15 S 0.7749 0.7863 0.7237
S16 S 0.7762 0.7013 0.9930
S17 S 0.8249 0.0621 0.2868
S18 S 0.8702 0.3277 0.5011
```

The 10 most intense peaks (10 to 80 degrees two-theta), in order of falling intensity:
d = 6.724 Å, I = 100
d = 3.432 Å, I = 66
d = 5.564 Å, I = 58
d = 4.934 Å, I = 53
d = 4.485 Å, I = 47
d = 3.345 Å, I = 45
d = 6.130 Å, I = 43
d = 4.877 Å, I = 40
d = 5.959 Å, I = 39
d = 6.864 Å, I = 36



Al2S3: computed PXRD pattern (Cu Kα), based on a DFT-relaxed cell (GGA-PBE, the Materials Project).
Intensities are scaled so that the largest is 100.

```
data_Al2S3
_chemical_formula_sum 'Al4 S6'
_space_group_name_H-M_alt 'P 1'
_space_group_IT_number 1
_cell_length_a 6.5487
_cell_length_b 6.5487
_cell_length_c 7.0597
_cell_angle_alpha 116.90
_cell_angle_beta 116.90
_cell_angle_gamma 59.56
loop_
_space_group_symop_operation_xyz
'x,y,z'
loop_
_atom_site_label
_atom_site_type_symbol
_atom_site_fract_x
_atom_site_fract_y
_atom_site_fract_z
Al1 Al 0.0679 0.9321 0.5000
Al2 Al 0.2427 0.4402 0.0144
Al3 Al 0.4402 0.2427 0.5144
Al4 Al 0.9321 0.0679 0.0000
S1 S 0.0591 0.2147 0.3850
S2 S 0.2147 0.0591 0.8850
S3 S 0.3787 0.5531 0.3976
S4 S 0.5531 0.3787 0.8976
S5 S 0.7164 0.8882 0.3862
S6 S 0.8882 0.7164 0.8862
```

The 10 most intense peaks (10 to 80 degrees two-theta), in order of falling intensity:
d = 3.274 Å, I = 100
d = 3.012 Å, I = 92
d = 2.860 Å, I = 88
d = 1.882 Å, I = 68
d = 3.253 Å, I = 48
d = 2.896 Å, I = 39
d = 1.894 Å, I = 37
d = 5.403 Å, I = 35
d = 1.590 Å, I = 31
d = 1.724 Å, I = 31



Al2S3: computed PXRD pattern (Cu Kα), based on a DFT-relaxed cell (GGA-PBE, the Materials Project).
Intensities are scaled so that the largest is 100.

```
data_Al2S3
_chemical_formula_sum 'Al4 S6'
_space_group_name_H-M_alt 'P 1'

    Best regards,


  • Thank you Edvin,

    I will edit the overlay.  I'm still learning this whole zephyr process.  It seems that no matter which tutorial I start I always run into something that stalls me, or is out dated that doesn't match what I see, etc.  I moved that over to "nrf usb" but haven't tested it yet.  I do still need the console, because I still have to test the SMS messages I am getting from the HL7800 with AT commands.

    For the nrf usb, it that the right identifier for the usb on the nrf52840?


  • MontanaEE said:
    I'm still learning this whole zephyr process.

    It is indeed quite a lot to get familiar with.

    MontanaEE said:
    I do still need the console, because I still have to test the SMS messages I am getting from the HL7800 with AT commands.

    You don't need it. As mentioned, you can monitor the log using the RTT backend, like it is done in the peripheral_uart sample. If you still have a console, however, this is where everything will be written when you use printk(). But regardless of whether you have a console or not, you can still use uart_tx(), uart_rx() or a callback handler for the UART, like it is done in the peripheral_uart sample. (ncs\nrf\samples\bluetooth\peripheral_uart

    Best regards,


  • Oh okay, thanks for the clarification.  I am looking at that now. 


